+++
Below is a relaxed SmNiGe crystal, with properties calculated at the r2SCAN level.

Structure (CIF):
```
data_SmNiGe
_chemical_formula_sum 'Sm4 Ni4 Ge4'
_space_group_name_H-M_alt 'P n m a'
_space_group_IT_number 62
_cell_length_a 7.124
_cell_length_b 4.274
_cell_length_c 7.269
_cell_angle_alpha 90.00
_cell_angle_beta 90.00
_cell_angle_gamma 90.00
loop_
_space_group_symop_operation_xyz
'x,y,z'
'-x,-y,-z'
'-x+1/2,-y,z+1/2'
'x+1/2,y,-z+1/2'
'x+1/2,-y+1/2,-z+1/2'
'-x+1/2,y+1/2,z+1/2'
'-x,y+1/2,-z'
'x,-y+1/2,z'
loop_
_atom_site_label
_atom_site_type_symbol
_atom_site_fract_x
_atom_site_fract_y
_atom_site_fract_z
Sm1 Sm 0.011 0.250 0.205
+++

Retype the data earlier on from the line with "properties calculated" to the end without altering anything.

Below is a relaxed SmNiGe crystal, with properties calculated at the r2SCAN level.

Structure (CIF):
```
data_SmNiGe
_chemical_formula_sum 'Sm4 Ni4 Ge4'
_space_group_name_H-M_alt 'P n m a'
_space_group_IT_number 62
_cell_length_a 7.124
_cell_length_b 4.274
_cell_length_c 7.269
_cell_angle_alpha 90.00
_cell_angle_beta 90.00
_cell_angle_gamma 90.00
loop_
_space_group_symop_operation_xyz
'x,y,z'
'-x,-y,-z'
'-x+1/2,-y,z+1/2'
'x+1/2,y,-z+1/2'
'x+1/2,-y+1/2,-z+1/2'
'-x+1/2,y+1/2,z+1/2'
'-x,y+1/2,-z'
'x,-y+1/2,z'
loop_
_atom_site_label
_atom_site_type_symbol
_atom_site_fract_x
_atom_site_fract_y
_atom_site_fract_z
Sm1 Sm 0.011 0.250 0.205